
Published 12:00 am Saturday, June 11, 2005

It turns out that Yale University knew 40 years ago what a lot of us suspected last year – Though a dummy, President Bush is smarter than John Kerry.

Democrats made a big deal about Bush’s &uot;C&uot; average in college during last year’s presidential campaign, which made me think Bush wasn’t very smart and, conversely, that Kerry must have had good grades and be a lot smarter than the way he ran his campaign would indicate.

-- begin --
Entry 1:
Cs2Tl7Pd: computed PXRD pattern (Cu Kα X-rays), based on DFT lattice parameters and positions (GGA-PBE).

abc: 5.2820 5.2820 12.8746
angles: 90.00 90.00 90.00
Positions (direct):
Cs (0.0000, 0.5000, 0.2361)
Cs (0.5000, 0.0000, 0.7639)
Tl (0.0000, 0.0000, 0.0000)
Tl (0.0000, 0.0000, 0.5000)
Tl (0.0000, 0.5000, 0.6422)
Tl (0.0000, 0.5000, 0.8937)
Tl (0.5000, 0.0000, 0.1063)
Tl (0.5000, 0.0000, 0.3578)
Tl (0.5000, 0.5000, 0.5000)
Pd (0.5000, 0.5000, 0.0000)

Main lines, in order of rising 2θ (10 to 80 degrees two-theta):
2θ/deg  d (Å)  I (rel.)
13.76  6.437  28
18.15  4.887  28
26.77  3.331  75
27.61  3.231  100
33.94  2.641  100
36.85  2.439  83
43.74  2.069  40
48.76  1.867  36
56.96  1.617  27
62.66  1.483  31

---

Entry 2:
Cs2Tl2Pd: computed PXRD pattern (Cu Kα X-rays), based on DFT lattice parameters and positions (GGA-PBE).

abc: 4.9247 4.9247 34.3716
angles: 90.00 90.00 120.00
Positions (direct):
Cs (0.0000, 0.0000, 0.0713)
Cs (0.0000, 0.0000, 0.9287)
Cs (0.3333, 0.6667, 0.5954)
Cs (0.3333, 0.6667, 0.7380)
Cs (0.6667, 0.3333, 0.2620)
Cs (0.6667, 0.3333, 0.4046)
Tl (0.0000, 0.0000, 0.1877)
Tl (0.0000, 0.0000, 0.8123)
Tl (0.3333, 0.6667, 0.4790)
Tl (0.3333, 0.6667, 0.8543)
Tl (0.6667, 0.3333, 0.1457)
Tl (0.6667, 0.3333, 0.5210)
Pd (0.0000, 0.0000, 0.5000)
Pd (0.3333, 0.6667, 0.1667)
Pd (0.6667, 0.3333, 0.8333)

Main lines, in order of rising 2θ (10 to 80 degrees two-theta):
2θ/deg  d (Å)  I (rel.)
20.99  4.232  53
23.29  3.819  34
27.71  3.220  97
29.51  3.027  82
33.48  2.676  24
36.49  2.462  100
37.35  2.407  56
43.74  2.069  36
47.38  1.919  37
61.44  1.509  25

---

Entry 3:
CsTl12Pd6: computed PXRD pattern (Cu Kα X-rays), based on DFT lattice parameters and positions (GGA-PBE).

abc: 8.2831 8.2831 8.2831
angles: 104.67 104.67 104.67
Positions (direct):
Cs (0.0000, 0.0000, 0.0000)
Tl (0.1222, 0.5000, 0.8778)
Tl (0.1222, 0.8778, 0.5000)
Tl (0.1657, 0.4311, 0.4311)
Tl (0.4311, 0.1657, 0.4311)
Tl (0.4311, 0.4311, 0.1657)
Tl (0.5000, 0.1222, 0.8778)
Tl (0.5000, 0.8778, 0.1222)
Tl (0.5689, 0.5689, 0.8343)
Tl (0.5689, 0.8343, 0.5689)
Tl (0.8343, 0.5689, 0.5689)
Tl (0.8778, 0.1222, 0.5000)
Tl (0.8778, 0.5000, 0.1222)
Pd (0.2590, 0.2590, 0.6908)
Pd (0.2590, 0.6908, 0.2590)
Pd (0.3092, 0.7410, 0.7410)
Pd (0.6908, 0.2590, 0.2590)
Pd (0.7410, 0.3092, 0.7410)
Pd (0.7410, 0.7410, 0.3092)

Main lines, in order of rising 2θ (10 to 80 degrees two-theta):
2θ/deg  d (Å)  I (rel.)
11.74  7.539  24
29.72  3.006  100
29.88  2.990  49
35.59  2.522  39
35.73  2.513  60
36.30  2.475  46
39.11  2.303  23
43.71  2.071  46
54.00  1.698  24
57.57  1.601  27

---

Entry 4:
Cs4Tl5Pd3: computed PXRD pattern (Cu Kα X-rays), based on DFT lattice parameters and positions (GGA-PBE).

abc: 5.5133 8.4190 10.4297
angles: 83.65 74.98 71.30
Positions (direct):
Cs (0.0384, 0.1616, 0.2739)
Cs (0.3168, 0.5535, 0.3160)
Cs (0.6832, 0.4465, 0.6840)
Cs (0.9616, 0.8384, 0.7261)
Tl (0.0000, 0.5000, 0.0000)
Tl (0.3207, 0.8505, 0.0021)
Tl (0.3758, 0.1340, 0.6049)
-- stop --
Here the text continues >

Who knew that Kerry refused to release his college grades for scrutiny? The only two successes Kerry had during his entire two-year run from the White House was his surprise victory in the Iowa caucus that made him the Democratic front runner and convincing the Democrats (and even many Republicans) that he was smarter than &uot;Dubya&uot;.


Even skeptical observers, myself included, bought into the smart Kerry myth through the rest of the Democratic primaries. Kerry never topped the list of candidates I wanted to run against Bush for president – I liked John Edwards as the best bet to unseat Bush and take the country in the right direction – but I had to concede to my wife: &uot;That Senator Kerry shore must be a smart thang!&uot;

• Attached: calculated crystals:
-- begin --
Entry 1:
Sr2PtF2: simulated X-ray powder pattern (λ = 1.5418 Å (Cu Kα)), based on a cell relaxed with GGA-PBE.

Most intense lines, 5° ≤ 2θ ≤ 70°, sorted by position:
2θ (°)	d/Å	I/Imax	h k l
20.7	4.293	75	1 0 1
32.7	2.736	100	1 1 2
35.3	2.545	36	1 0 3
36.7	2.447	51	2 0 0
42.5	2.126	24	2 1 1
51.8	1.764	24	2 1 3
52.9	1.730	17	2 2 0
55.7	1.650	23	2 0 4
63.6	1.462	30	3 1 2
68.6	1.368	28	1 1 6

Cell lengths 4.894, 4.894, 8.940 Å; angles 90.00, 90.00, 90.00 degrees
Space group I4/mmm (No. 139)
Unique sites:
Sr  0.000  0.500  0.250 [4 per cell]
Pt  0.000  0.000  0.000 [2 per cell]
F  0.000  0.000  0.330 [4 per cell]

=====

Entry 2:
TbPtF7: simulated X-ray powder pattern (λ = 1.5418 Å (Cu Kα)), based on a cell relaxed with GGA-PBE.

Most intense lines, 5° ≤ 2θ ≤ 70°, sorted by position:
2θ (°)	d/Å	I/Imax	h k l
22.1	4.030	100	1 1 -2
22.5	3.955	43	2 0 0
23.1	3.845	15	0 1 2
26.4	3.381	17	2 1 -2
29.0	3.076	34	1 1 2
30.0	2.976	16	1 0 -4
32.2	2.779	17	0 2 0
44.6	2.031	17	1 2 -4
44.9	2.017	17	3 0 2
48.3	1.884	26	2 1 -6

Cell lengths 8.931, 5.558, 12.026 Å; angles 90.00, 117.67, 90.00 degrees
Space group P2_1/c (No. 14)
Unique sites:
Tb  0.187  0.239  0.265 [4 per cell]
Pt  0.273  0.742  0.043 [4 per cell]
F  0.025  0.745  0.950 [4 per cell]
F  0.031  0.587  0.732 [4 per cell]
F  0.254  0.553  0.175 [4 per cell]
F  0.274  0.035  0.135 [4 per cell]
F  0.280  0.058  0.458 [4 per cell]
F  0.296  0.563  0.416 [4 per cell]
F  0.480  0.228  0.358 [4 per cell]

=====

For AcZnAs2, the PBE geometry in Alexandria gives the calculated powder X-ray diffraction pattern in this record (Cu Kα, 1.54184 Å).

Atomic structure:
a = 4.331 Å, b = 4.331 Å, c = 10.354 Å
α = 90.00°, β = 90.00°, γ = 90.00°
Space group P4/nmm (No. 129, origin choice 2)
Asymmetric unit:
Ac (0.250, 0.250, 0.223)
Zn (0.250, 0.750, 0.500)
As (0.250, 0.250, 0.643)
As (0.250, 0.750, 0.000)

Most intense lines, 10 to 90 degrees two-theta, in order of falling intensity:
two_theta  I (rel.)
34.01  100
22.25  49
41.71  41
33.19  39
26.84  29
71.22  23
54.32  20
47.78  14
60.46  14
40.61  13

For Pm2Pr7Y, the PBE geometry in Alexandria gives the calculated powder X-ray diffraction pattern in this record (Cu Kα, 1.54184 Å).

Atomic structure:
a = 8.862 Å, b = 17.003 Å, c = 5.605 Å
α = 90.00°, β = 90.00°, γ = 90.00°
Space group Cmmm (No. 65)
Asymmetric unit:
Pm (0.000, 0.205, 0.000)
Pr (0.000, 0.000, 0.000)
Pr (0.000, 0.283, 0.500)
Pr (0.181, 0.389, 0.000)
Y (0.000, 0.500, 0.500)

Most intense lines, 10 to 90 degrees two-theta, in order of falling intensity:
two_theta  I (rel.)
32.41  100
15.81  57
29.11  54
34.73  53
31.93  50
43.75  39
57.23  28
26.31  27
60.47  25
61.25  24

For YErHf2N4, the PBE geometry in Alexandria gives the calculated powder X-ray diffraction pattern in this record (Cu Kα, 1.54184 Å).

Atomic structure:
a = 4.700 Å, b = 4.700 Å, c = 9.349 Å
α = 90.00°, β = 90.00°, γ = 90.00°
Space group I-4m2 (No. 119)
Asymmetric unit:
Y (0.000, 0.000, 0.000)
Er (0.000, 0.500, 0.250)
-- stop --

I couldn’t figure out how he managed to rise from the political ashes to become the darling of the Democrats, the front-runner for the rest of the primary season, and the &uot;six months before the election president-elect.&uot; Didn’t make sense. That was before Dean’s dying swan imitation that made him a laughingstock and ended any chance he had to become president. It took everybody by surprise and, therefore, must have been an act of genius on Kerry’s part.

Turns out it was political manipulation and dumb luck – a lot of dumb luck. The Democratic Party wanted one of its insiders to run against Bush, whom they believed to be easy prey. The entire weight and power of the Democratic Party was, therefore, brought to bear on the Democratic voters of Iowa. Kerry was the man who could beat Bush, they said.

Dean, the front-runner, was an outsider to the national party structure and &uot;too extreme&uot; in his denunciation of Bush’s rush to war in Iraq. Edwards was too new because he hadn’t even finished his first six-year term as senator. Lieberman was too close to the Republicans. Gephart was also an insider, but his poll numbers weren’t high enough. The other candidates didn’t stand a chance.

So Kerry was the choice for Democratic nominee by the national party and the Democrats of Iowa were just the first of many to go along with it. The rallying cry, apparently, was that Kerry was real smart

He went to Yale, just like Bush, but unlike Bush he was real smart. He was real smart for wanting to go to Vietnam. He was real smart in warfare, only getting wounded three times. He was real smart for using those three battle wounds to come home early from Vietnam. He was real smart because when he got back to the United States he used his status as a real smart war hero to denounce what the United States was doing in Vietnam. And he was real smart in getting elected to Congress.

_What comes next are records of crystals, not part of the page_
+++
1.
Calculated powder X-ray diffraction pattern
Compound: La2Zn3Ir2
Radiation: Cu Kα, 1.54184 Å
Structure: the GGA-PBE geometry in Alexandria

Cell and atoms:
Cell: 10.151 4.187 7.410 Å, 90.00 113.59 90.00°
Atoms (fractional coordinates):
La (0.143, 0.000, 0.266)
La (0.357, 0.500, 0.734)
La (0.643, 0.500, 0.266)
La (0.857, 0.000, 0.734)
Zn (0.000, 0.500, 0.500)
Zn (0.146, 0.500, 0.942)
Zn (0.354, 0.000, 0.058)
Zn (0.500, 0.000, 0.500)
Zn (0.646, 0.000, 0.942)
Zn (0.854, 0.500, 0.058)
Ir (0.134, 0.000, 0.695)
Ir (0.366, 0.500, 0.305)
Ir (0.634, 0.500, 0.695)
Ir (0.866, 0.000, 0.305)

Principal peaks in the range 2θ from 15° to 90°, by angle:
two_theta  intensity
18.30  310
23.30  494
26.24  384
36.04  566
37.10  299
37.26  917
38.25  1000
38.72  428
43.21  634
68.46  296

***

2.
Calculated powder X-ray diffraction pattern
Compound: LaZn3Ir
Radiation: Cu Kα, 1.54184 Å
Structure: the GGA-PBE geometry in Alexandria

Cell and atoms:
Cell: 4.809 4.823 5.273 Å, 112.26 112.66 95.52°
Atoms (fractional coordinates):
La (0.000, 0.000, 0.000)
Zn (0.284, 0.700, 0.539)
Zn (0.635, 0.638, 0.233)
Zn (0.706, 0.286, 0.536)
Ir (0.258, 0.251, 0.681)

Principal peaks in the range 2θ from 15° to 90°, by angle:
two_theta  intensity
20.47  261
20.75  227
20.87  219
24.97  522
35.52  939
35.68  477
36.90  221
37.56  1000
51.24  219
52.11  223

***

3.
Calculated powder X-ray diffraction pattern
Compound: La3Zn2Ir3
Radiation: Cu Kα, 1.54184 Å
Structure: the GGA-PBE geometry in Alexandria

Cell and atoms:
Cell: 6.324 6.324 14.386 Å, 90.00 90.00 141.51°
Atoms (fractional coordinates):
La (0.075, 0.925, 0.612)
La (0.075, 0.925, 0.888)
La (0.346, 0.654, 0.750)
La (0.654, 0.346, 0.250)
La (0.925, 0.075, 0.112)
La (0.925, 0.075, 0.388)
Zn (0.223, 0.777, 0.078)
Zn (0.223, 0.777, 0.422)
Zn (0.777, 0.223, 0.578)
Zn (0.777, 0.223, 0.922)
Ir (0.330, 0.670, 0.250)
Ir (0.399, 0.601, 0.543)
Ir (0.399, 0.601, 0.957)
Ir (0.601, 0.399, 0.043)
Ir (0.601, 0.399, 0.457)
Ir (0.670, 0.330, 0.750)

Principal peaks in the range 2θ from 15° to 90°, by angle:
two_theta  intensity
19.32  251
31.06  350
31.70  541
33.76  1000
34.61  287
36.40  845
40.12  269
43.41  508
45.55  369
47.39  264

***

4.
Calculated powder X-ray diffraction pattern
Compound: LaZr2Ir
Radiation: Cu Kα, 1.54184 Å
Structure: the GGA-PBE geometry in Alexandria

Cell and atoms:
Cell: 3.303 4.363 6.668 Å, 90.00 97.75 90.00°
Atoms (fractional coordinates):
La (0.000, 0.000, 0.000)
Zr (0.127, 0.000, 0.558)
Zr (0.602, 0.500, 0.338)
Ir (0.522, 0.500, 0.730)

Principal peaks in the range 2θ from 15° to 90°, by angle:
two_theta  intensity
24.45  201
34.04  839
34.25  1000
35.93  443
38.32  180
41.38  483
46.17  138
55.94  246
63.64  165
70.93  148

***

5.
Calculated powder X-ray diffraction pattern
Compound: Li2Ir3
Radiation: Cu Kα, 1.54184 Å
Structure: the GGA-PBE geometry in Alexandria

Cell and atoms:
Cell: 2.693 2.693 33.673 Å, 90.00 90.00 120.00°
Atoms (fractional coordinates):
Li (0.000, 0.000, 0.101)
Li (0.000, 0.000, 0.899)
+++

Now we discover that the first real smart assumption was, in fact, bogus.

Bush’s cumulative average at Yale was 77. That’s a moderate &uot;C&uot; for those of you not used to the 10-point grading scale that Yale used (90-100=A; 80-89=B; 70-79=C; 60-69=D; & under 60=Fail).

A solid C isn’t so bad. I kind of think the leader of the free world should be able to pull better grades than that in college, but I have to remember that not all geniuses make high grades all the time. Still, you’d think the future president of the United States, the commander in chief of the most powerful military force the world has ever seen, and the person who holds the fate of billions of people in the palm of his (PC alert! We haven’t had a woman president yet) hands could at least manage a high B.

So how does that paragon of smartness, John Kerry, stack up against that dummy Bush? Ummm…how about an even lower C average. Kerry scored an unimpressive cumulative grade of 76 at Yale, a full point lower than Bush.
